Listing
<<<
[1]
Diffraction record for CaCO3. The powder diffractogram is computed, not measured: it uses DFT lattice parameters and positions (GGA-PBE) and CuKα.

Structure:
```
data_CaCO3
_chemical_formula_sum 'Ca6 C6 O18'
_cell_length_a 8.707
_cell_length_b 5.027
_cell_length_c 8.728
_cell_angle_alpha 90.00
_cell_angle_beta 90.05
_cell_angle_gamma 90.00
_space_group_name_H-M_alt 'C 1 2 1'
_space_group_IT_number 5
_space_group_name_Hall 'C 2y'
loop_
_atom_site_label
_atom_site_fract_x
_atom_site_fract_y
_atom_site_fract_z
Ca1 0.000 0.000 0.000
Ca2 0.166 0.500 0.335
C1 0.000 0.001 0.500
C2 0.167 0.500 0.830
O1 0.000 0.743 0.500
O2 0.039 0.368 0.830
O3 0.129 0.130 0.501
O4 0.166 0.758 0.831
O5 0.202 0.873 0.170
```

Largest 10 diffraction maxima, by angle, 10 to 80 degrees two-theta:
- d = 3.896 Å, rel. 8
- d = 3.082 Å, rel. 100
- d = 2.514 Å, rel. 15
- d = 2.415 Å, rel. 11
- d = 2.112 Å, rel. 15
- d = 1.950 Å, rel. 29
- d = 1.902 Å, rel. 24
- d = 1.617 Å, rel. 14
- d = 1.540 Å, rel. 8
- d = 1.451 Å, rel. 8

[2]
Diffraction record for Pr3Si2Ni6. The powder diffractogram is computed, not measured: it uses DFT lattice parameters and positions (GGA-PBE) and CuKα.

Structure:
```
data_Pr3Si2Ni6
_chemical_formula_sum 'Pr12 Si8 Ni24'
_cell_length_a 8.948
_cell_length_b 8.948
_cell_length_c 8.948
_cell_angle_alpha 90.00
_cell_angle_beta 90.00
_cell_angle_gamma 90.00
_space_group_name_H-M_alt 'I m -3 m'
_space_group_IT_number 229
_space_group_name_Hall '-I 4 2 3'
loop_
_atom_site_label
_atom_site_fract_x
_atom_site_fract_y
_atom_site_fract_z
Pr1 0.000 0.000 0.283
Si1 0.250 0.250 0.250
Ni1 0.000 0.331 0.331
```

Largest 10 diffraction maxima, by angle, 10 to 80 degrees two-theta:
- d = 3.653 Å, rel. 14
- d = 3.164 Å, rel. 16
- d = 2.830 Å, rel. 36
- d = 2.583 Å, rel. 26
- d = 2.391 Å, rel. 34
- d = 2.237 Å, rel. 23
- d = 2.109 Å, rel. 100
- d = 1.452 Å, rel. 21
- d = 1.349 Å, rel. 19
- d = 1.218 Å, rel. 20

[3]
Diffraction record for Tl2CuI3. The powder diffractogram is computed, not measured: it uses DFT lattice parameters and positions (GGA-PBE) and CuKα.

Structure:
```
data_Tl2CuI3
_chemical_formula_sum 'Tl8 Cu4 I12'
_cell_length_a 9.293
_cell_length_b 9.817
_cell_length_c 9.620
_cell_angle_alpha 90.00
_cell_angle_beta 90.00
_cell_angle_gamma 90.00
_space_group_name_H-M_alt 'P n n m'
_space_group_IT_number 58
_space_group_name_Hall '-P 2 2n'
loop_
_atom_site_label
_atom_site_fract_x
_atom_site_fract_y
_atom_site_fract_z
Tl1 0.156 0.148 0.241
Cu1 0.044 0.376 0.500
I1 0.000 0.500 0.256
I2 0.138 0.832 0.500
I3 0.171 0.835 0.000
```

Largest 10 diffraction maxima, by angle, 10 to 80 degrees two-theta:
- d = 3.222 Å, rel. 100
- d = 3.164 Å, rel. 79
- d = 3.087 Å, rel. 31
- d = 2.954 Å, rel. 41
- d = 2.405 Å, rel. 30
- d = 2.250 Å, rel. 18
- d = 2.046 Å, rel. 17
- d = 1.865 Å, rel. 20
- d = 1.693 Å, rel. 17
- d = 1.635 Å, rel. 20

[4]
Diffraction record for KMg14V. The powder diffractogram is computed, not measured: it uses DFT lattice parameters and positions (GGA-PBE) and CuKα.

Structure:
```
data_KMg14V
_chemical_formula_sum 'K1 Mg14 V1'
_cell_length_a 6.5112
_cell_length_b 6.5112
_cell_length_c 10.3874
_cell_angle_alpha 90.00
_cell_angle_beta 90.00
_cell_angle_gamma 120.00
_space_group_name_H-M_alt 'P -6 m 2'
_space_group_IT_number 187
_space_group_name_Hall 'P -6 2'
loop_
_atom_site_label
_atom_site_fract_x
_atom_site_fract_y
_atom_site_fract_z
K1 0.0000 0.0000 0.0000
Mg1 0.0081 0.5041 0.0000
Mg2 0.1672 0.3344 0.2675
Mg3 0.5014 0.0027 0.5000
Mg4 0.6667 0.3333 0.2446
V1 0.0000 0.0000 0.5000
```

Largest 10 diffraction maxima, by angle, 10 to 80 degrees two-theta:
- d = 5.639 Å, rel. 4
- d = 3.820 Å, rel. 4
- d = 2.819 Å, rel. 25
- d = 2.597 Å, rel. 24
- d = 2.478 Å, rel. 100
- d = 1.910 Å, rel. 15
- d = 1.628 Å, rel. 17
- d = 1.475 Å, rel. 16
- d = 1.379 Å, rel. 18
- d = 1.360 Å, rel. 13

[5]
Diffraction record for Mg6Si5. The powder diffractogram is computed, not measured: it uses DFT lattice parameters and positions (GGA-PBE) and CuKα.
>>>

Assignment
Repeat the contents further up word for word.

Response
[1]
Diffraction record for CaCO3. The powder diffractogram is computed, not measured: it uses DFT lattice parameters and positions (GGA-PBE) and CuKα.

Structure:
```
data_CaCO3
_chemical_formula_sum 'Ca6 C6 O18'
_cell_length_a 8.707
_cell_length_b 5.027
_cell_length_c 8.728
_cell_angle_alpha 90.00
_cell_angle_beta 90.05
_cell_angle_gamma 90.00
_space_group_name_H-M_alt 'C 1 2 1'
_space_group_IT_number 5
_space_group_name_Hall 'C 2y'
loop_
_atom_site_label
_atom_site_fract_x
_atom_site_fract_y
_atom_site_fract_z
Ca1 0.000 0.000 0.000
Ca2 0.166 0.500 0.335
C1 0.000 0.001 0.500
C2 0.167 0.500 0.830
O1 0.000 0.743 0.500
O2 0.039 0.368 0.830
O3 0.129 0.130 0.501
O4 0.166 0.758 0.831
O5 0.202 0.873 0.170
```

Largest 10 diffraction maxima, by angle, 10 to 80 degrees two-theta:
- d = 3.896 Å, rel. 8
- d = 3.082 Å, rel. 100
- d = 2.514 Å, rel. 15
- d = 2.415 Å, rel. 11
- d = 2.112 Å, rel. 15
- d = 1.950 Å, rel. 29
- d = 1.902 Å, rel. 24
- d = 1.617 Å, rel. 14
- d = 1.540 Å, rel. 8
- d = 1.451 Å, rel. 8

[2]
Diffraction record for Pr3Si2Ni6. The powder diffractogram is computed, not measured: it uses DFT lattice parameters and positions (GGA-PBE) and CuKα.

Structure:
```
data_Pr3Si2Ni6
_chemical_formula_sum 'Pr12 Si8 Ni24'
_cell_length_a 8.948
_cell_length_b 8.948
_cell_length_c 8.948
_cell_angle_alpha 90.00
_cell_angle_beta 90.00
_cell_angle_gamma 90.00
_space_group_name_H-M_alt 'I m -3 m'
_space_group_IT_number 229
_space_group_name_Hall '-I 4 2 3'
loop_
_atom_site_label
_atom_site_fract_x
_atom_site_fract_y
_atom_site_fract_z
Pr1 0.000 0.000 0.283
Si1 0.250 0.250 0.250
Ni1 0.000 0.331 0.331
```

Largest 10 diffraction maxima, by angle, 10 to 80 degrees two-theta:
- d = 3.653 Å, rel. 14
- d = 3.164 Å, rel. 16
- d = 2.830 Å, rel. 36
- d = 2.583 Å, rel. 26
- d = 2.391 Å, rel. 34
- d = 2.237 Å, rel. 23
- d = 2.109 Å, rel. 100
- d = 1.452 Å, rel. 21
- d = 1.349 Å, rel. 19
- d = 1.218 Å, rel. 20

[3]
Diffraction record for Tl2CuI3. The powder diffractogram is computed, not measured: it uses DFT lattice parameters and positions (GGA-PBE) and CuKα.

Structure:
```
data_Tl2CuI3
_chemical_formula_sum 'Tl8 Cu4 I12'
_cell_length_a 9.293
_cell_length_b 9.817
_cell_length_c 9.620
_cell_angle_alpha 90.00
_cell_angle_beta 90.00
_cell_angle_gamma 90.00
_space_group_name_H-M_alt 'P n n m'
_space_group_IT_number 58
_space_group_name_Hall '-P 2 2n'
loop_
_atom_site_label
_atom_site_fract_x
_atom_site_fract_y
_atom_site_fract_z
Tl1 0.156 0.148 0.241
Cu1 0.044 0.376 0.500
I1 0.000 0.500 0.256
I2 0.138 0.832 0.500
I3 0.171 0.835 0.000
```

Largest 10 diffraction maxima, by angle, 10 to 80 degrees two-theta:
- d = 3.222 Å, rel. 100
- d = 3.164 Å, rel. 79
- d = 3.087 Å, rel. 31
- d = 2.954 Å, rel. 41
- d = 2.405 Å, rel. 30
- d = 2.250 Å, rel. 18
- d = 2.046 Å, rel. 17
- d = 1.865 Å, rel. 20
- d = 1.693 Å, rel. 17
- d = 1.635 Å, rel. 20

[4]
Diffraction record for KMg14V. The powder diffractogram is computed, not measured: it uses DFT lattice parameters and positions (GGA-PBE) and CuKα.

Structure:
```
data_KMg14V
_chemical_formula_sum 'K1 Mg14 V1'
_cell_length_a 6.5112
_cell_length_b 6.5112
_cell_length_c 10.3874
_cell_angle_alpha 90.00
_cell_angle_beta 90.00
_cell_angle_gamma 120.00
_space_group_name_H-M_alt 'P -6 m 2'
_space_group_IT_number 187
_space_group_name_Hall 'P -6 2'
loop_
_atom_site_label
_atom_site_fract_x
_atom_site_fract_y
_atom_site_fract_z
K1 0.0000 0.0000 0.0000
Mg1 0.0081 0.5041 0.0000
Mg2 0.1672 0.3344 0.2675
Mg3 0.5014 0.0027 0.5000
Mg4 0.6667 0.3333 0.2446
V1 0.0000 0.0000 0.5000
```

Largest 10 diffraction maxima, by angle, 10 to 80 degrees two-theta:
- d = 5.639 Å, rel. 4
- d = 3.820 Å, rel. 4
- d = 2.819 Å, rel. 25
- d = 2.597 Å, rel. 24
- d = 2.478 Å, rel. 100
- d = 1.910 Å, rel. 15
- d = 1.628 Å, rel. 17
- d = 1.475 Å, rel. 16
- d = 1.379 Å, rel. 18
- d = 1.360 Å, rel. 13

[5]
Diffraction record for Mg6Si5. The powder diffractogram is computed, not measured: it uses DFT lattice parameters and positions (GGA-PBE) and CuKα.